Reactions continue pouring in after the May 8 election of the first openly transgender bishop in a major American Christian denomination. In an online vote, the Rev. Megan Rohrer, 41, became bishop-elect of the Sierra Pacific Synod of the Evangelical Lutheran Church in America (ELCA). Following a September installation, Rohrer will serve a six-year term overseeing 180 congregations in portions of California and Nevada.
Rohrer, who became the ELCA’s first transgender pastor in 2014, serves at Grace Evangelical Lutheran Church in San Francisco and is community chaplain coordinator for the city’s police department. In 2012, San Francisco’s board of supervisors declared August 12 “Pastor Megan Rohrer Day,” citing Rohrer’s advocacy for homeless people and LGBTQ youth.
== What comes next are materials data, not part of the text ==
____________
Here is a geometry-optimized K2CuSb structure from the Materials Project database. Energies are from r2SCAN.

Output
Calculated density ... 3.4 g cm⁻³
Energy relative to the elements ... -39.10 kJ/mol of atoms

Lattice parameters (Å, degrees): 6.5985 6.5985 6.2212 90.00 90.00 73.56
With the nearest neighbours (Å) after each atom.
Positions (direct):
K (0.0111, 0.3249, 0.2500)  3 K 3.55-3.85, 4 Sb 3.58-3.69, 2 Cu 3.59
K (0.3249, 0.0111, 0.7500)  3 K 3.55-3.85, 4 Sb 3.58-3.69, 2 Cu 3.59
K (0.6751, 0.9889, 0.2500)  3 K 3.55-3.85, 4 Sb 3.58-3.69, 2 Cu 3.59
K (0.9889, 0.6751, 0.7500)  3 K 3.55-3.85, 4 Sb 3.58-3.69, 2 Cu 3.59
Cu (0.5000, 0.5000, 0.0000)  2 Sb 2.50
Cu (0.5000, 0.5000, 0.5000)  2 Sb 2.50
Sb (0.2523, 0.7477, 0.2500)  2 Cu 2.50
Sb (0.7477, 0.2523, 0.7500)  2 Cu 2.50

~~~~~

# H2Os3C8S2O8

A relaxed structure of H2Os3C8S2O8 (GGA-PBE, the Materials Project database).

Output
Calculated formation energy (eV per atom): -0.907
SG: No. 15
Corrected total energy (MP2020 scheme) (eV/atom): -7.957
Magnetic moment (μB per atom): 0.00
Crystal system: monoclinic

a = 8.8471 Å, b = 8.8471 Å, c = 11.6875 Å
α = 72.87°, β = 72.87°, γ = 92.07°
Last column: nearest neighbours and their distance in Å.
Atoms (fractional coordinates):
C (0.3764, 0.0273, 0.7857)  1 O 1.16
C (0.1462, 0.0182, 0.1275)  1 O 1.17
C (0.3499, 0.3883, 0.1924)  1 O 1.16
C (0.6236, 0.9727, 0.2143)  1 O 1.16
C (0.3883, 0.3499, 0.6924)  1 O 1.16
C (0.1889, 0.5516, 0.0367)  1 O 1.16
C (0.5516, 0.1889, 0.5367)  1 O 1.16
C (0.6501, 0.6117, 0.8076)  1 O 1.16
C (0.0182, 0.1462, 0.6275)  1 O 1.17
C (0.9818, 0.8538, 0.3725)  1 O 1.17
C (0.8538, 0.9818, 0.8725)  1 O 1.17
C (0.9727, 0.6236, 0.7143)  1 O 1.16
C (0.8111, 0.4484, 0.9633)  1 O 1.16
C (0.4484, 0.8111, 0.4633)  1 O 1.16
C (0.6117, 0.6501, 0.3076)  1 O 1.16
C (0.0273, 0.3764, 0.2857)  1 O 1.16
O (0.0754, 0.7288, 0.6634)  1 C 1.16
O (0.1812, 0.5564, 0.9384)  1 C 1.16
O (0.1339, 0.1347, 0.0530)  1 C 1.17
O (0.1347, 0.1339, 0.5530)  1 C 1.17
O (0.5564, 0.1812, 0.4384)  1 C 1.16
O (0.4436, 0.8188, 0.5616)  1 C 1.16
O (0.7034, 0.5596, 0.3116)  1 C 1.16
O (0.8188, 0.4436, 0.0616)  1 C 1.16
O (0.8653, 0.8661, 0.4470)  1 C 1.17
O (0.4404, 0.2966, 0.1884)  1 C 1.16
O (0.2712, 0.9246, 0.8366)  1 C 1.16
O (0.9246, 0.2712, 0.3366)  1 C 1.16
O (0.8661, 0.8653, 0.9470)  1 C 1.17
O (0.5596, 0.7034, 0.8116)  1 C 1.16
O (0.7288, 0.0754, 0.1634)  1 C 1.16
O (0.2966, 0.4404, 0.6884)  1 C 1.16
Os (0.5413, 0.2074, 0.6986)  3 C 1.88-1.93, 1 H 2.01
Os (0.1667, 0.8333, 0.2500)  2 H 1.76, 2 C 1.89
Os (0.4587, 0.7926, 0.3014)  3 C 1.88-1.93, 1 H 2.01
Os (0.8333, 0.1667, 0.7500)  2 H 1.76, 2 C 1.89
Os (0.2074, 0.5413, 0.1986)  3 C 1.88-1.93, 1 H 2.01
Os (0.7926, 0.4587, 0.8014)  3 C 1.88-1.93, 1 H 2.01
H (0.2954, 0.9450, 0.2941)  1 Os 1.76
H (0.7046, 0.0550, 0.7059)  1 Os 1.76
H (0.9450, 0.2954, 0.7941)  1 Os 1.76
H (0.0550, 0.7046, 0.2059)  1 Os 1.76
S (0.4096, 0.7765, 0.1102)  3 Os 2.44-2.46
S (0.2235, 0.5904, 0.3898)  3 Os 2.44-2.46
____________
RELATED: LGBTQ and the Church Podcast Series: A Conversation We Need to Have
What Rev. Megan Rohrer’s Supporters Say
'''
LaAs2: optimized geometry, PBE-GGA.

Summary:
Calculated formation energy (kJ/mol of atoms): -102.5
Theoretical density (g cm⁻³): 6.3

Lattice parameters (Å, degrees): 12.956 14.585 9.143 90.00 134.84 90.00
Space group Cc (No. 9)
Asymmetric unit:
1 La 0.000 0.041 0.000 x4
2 La 0.108 0.302 0.292 x4
3 La 0.315 0.280 0.896 x4
4 La 0.395 0.042 0.194 x4
5 As 0.006 0.251 0.866 x4
6 As 0.017 0.381 0.508 x4
7 As 0.104 0.127 0.802 x4
8 As 0.181 0.126 0.537 x4
9 As 0.188 0.477 0.826 x4
10 As 0.208 0.373 0.076 x4
11 As 0.297 0.124 0.401 x4
12 As 0.416 0.372 0.710 x4



LaAs: optimized geometry, PBE-GGA.

Summary:
Calculated formation energy (kJ/mol of atoms): -115.2
Theoretical density (g cm⁻³): 6.9

Lattice parameters (Å, degrees): 3.901 3.901 3.389 90.00 90.00 90.00
Space group P4/mmm (No. 123)
Asymmetric unit:
1 La 0.000 0.000 0.000 x1
2 As 0.500 0.500 0.500 x1



LaNi2As2: optimized geometry, PBE-GGA.

Summary:
Calculated formation energy (kJ/mol of atoms): -80.9
Theoretical density (g cm⁻³): 7.8

Lattice parameters (Å, degrees): 4.149 4.149 10.110 90.00 90.00 90.00
Space group I4/mmm (No. 139)
Asymmetric unit:
1 La 0.000 0.000 0.000 x2
2 Ni 0.000 0.500 0.250 x4
3 As 0.000 0.000 0.366 x4



LaNi5As3: optimized geometry, PBE-GGA.

Summary:
Calculated formation energy (kJ/mol of atoms): -56.9
Theoretical density (g cm⁻³): 8.1

Lattice parameters (Å, degrees): 11.240 3.916 24.365 90.00 90.00 90.00
Space group Pnma (No. 62)
Asymmetric unit:
1 La 0.087 0.250 0.104 x4
2 La 0.088 0.750 0.338 x4
3 Ni 0.020 0.750 0.770 x4
4 Ni 0.021 0.250 0.534 x4
5 Ni 0.090 0.750 0.004 x4
6 Ni 0.103 0.250 0.850 x4
7 Ni 0.117 0.750 0.589 x4
8 Ni 0.162 0.250 0.751 x4
9 Ni 0.195 0.250 0.233 x4
10 Ni 0.208 0.750 0.489 x4
11 Ni 0.213 0.750 0.913 x4
12 Ni 0.221 0.250 0.653 x4
13 As 0.088 0.250 0.440 x4
14 As 0.088 0.750 0.203 x4
15 As 0.100 0.250 0.947 x4
16 As 0.123 0.750 0.686 x4
17 As 0.201 0.750 0.817 x4
18 As 0.227 0.250 0.556 x4



LaNi2As2: optimized geometry, PBE-GGA.

Summary:
Calculated formation energy (kJ/mol of atoms): -84.2
Theoretical density (g cm⁻³): 7.7

Lattice parameters (Å, degrees): 4.271 4.271 9.543 90.00 90.00 90.00
Space group P4/nmm (No. 129, origin choice 2)
Asymmetric unit:
1 La 0.250 0.250 0.248 x2
2 Ni 0.250 0.250 0.616 x2
3 Ni 0.250 0.750 0.000 x2
4 As 0.250 0.250 0.871 x2
5 As 0.250 0.750 0.500 x2



La4Zr8Ni15As16: optimized geometry, PBE-GGA.

Summary:
Calculated formation energy (kJ/mol of atoms): -88.5
Theoretical density (g cm⁻³): 7.7

Lattice parameters (Å, degrees): 9.419 3.969 19.708 90.00 97.68 90.00
Space group Pm (No. 6)
Asymmetric unit:
1 La 0.000 0.000 0.000 x1
2 La 0.001 0.000 0.503 x1
3 La 0.259 0.500 0.751 x1
4 La 0.272 0.500 0.255 x1
5 Zr 0.494 0.500 0.105 x1
6 Zr 0.496 0.500 0.605 x1
7 Zr 0.506 0.500 0.929 x1
8 Zr 0.508 0.500 0.431 x1
9 Zr 0.763 0.000 0.825 x1
10 Zr 0.764 0.000 0.325 x1
11 Zr 0.778 0.000 0.151 x1
12 Zr 0.789 0.000 0.652 x1
13 Ni 0.023 0.500 0.869 x1
14 Ni 0.025 0.500 0.368 x1
15 Ni 0.070 0.000 0.174 x1
'''
**Here the page continues**
“When we say all are welcome, we mean all are welcome,” said the Rev. Elizabeth Eaton, ELCA presiding bishop, after Saturday’s vote. “We believe that the Spirit has given each of us gifts in order to build up the body of Christ.”
Ellen Armour, a professor at Vanderbilt Divinity School, says the move is “groundbreaking” and marks a “new day.” It’s a signal, she adds, that the church won’t just crack open the door but will actively celebrate “the gifts that trans people, LGBTQ people, bring.”
Rohrer, who was once kicked out of a church youth group for being queer, credits college and seminary professors with “affirming that God was with me and for me, and affirming that I had gifts that could make a difference in this world, even if not everyone was able to imagine it yet.” Rohrer, who uses they/them pronouns, says, “I am delighted that my election points to the unending love God has for Their fabulously diverse creation.”
On May 12, Rohrer tweeted, “I promised to focus on evangelism. What a gift to be able to share my faith and stories about Jesus with nearly [every] major media outlet over these past 4 days.”
Al Mohler: “What We See Here Is a New Religion”
Leaders in more conservative denominations, meanwhile, warn about what they call the dangers of theological liberalism. The Rev. Albert Mohler, a Southern Baptist theologian who recently decried the “open apostasy” occurring within the United Methodist Church, says Megan Rohrer’s election constitutes “fundamentally redefining Christianity beyond the bounds of…any theological sanity.”
In his Briefing podcast Monday, Mohler said, “What we see here is a new religion. This is not a new step for Lutheranism. This isn’t even Lutheranism as Martin Luther might recognize it…This is a new religion that maintains the name Lutheran.”
Historic Lutheranism dates back to the 16th century, Mohler notes, yet the ELCA formed in 1988, and its precursor denominations began ordaining women just 51 years ago. The relatively swift developments leading to Rohrer’s election, he says, confirm that the ELCA “is not by any kind of theological definition evangelical.”
Mohler says, “You’re not looking at anything Martin Luther, the great reformer, would recognize, because it was Luther who said that his conscience was bound not by a moral revolution which he could not even have imagined, rather his conscience is bound by Scripture.”
For further reading on this topic, see the follow articles:
Juli Slattery: This Is How the Church Can Begin the LGBTQ Conversation
Mark Yarhouse: How to Pastor Someone Who Has Gender Dysphoria